_What to do_
Could you reproduce everything underneath verbatim?
_Given_
- - -
Density functional theory data (PBE) for crystalline SmTh4O10 at its relaxed geometry.

a = 8.8701 Å, b = 8.8701 Å, c = 5.6116 Å
α = 90.00°, β = 90.00°, γ = 90.00°
Space group I4/m (No. 87)
Asymmetric unit:
Sm  0.0000  0.0000  0.0000
Th  0.1008  0.2986  0.5000
O  0.0000  0.5000  0.2500
O  0.1004  0.7982  0.2524

total energy after the MP2020 corrections	-291.23	eV/cell

Density functional theory data (PBE) for crystalline ZnSe2O5 at its relaxed geometry.

a = 6.9198 Å, b = 10.6115 Å, c = 6.1840 Å
α = 90.00°, β = 90.00°, γ = 90.00°
Space group Pbcn (No. 60)
Asymmetric unit:
Zn  0.0000  0.0612  0.2500
Se  0.1355  0.3451  0.0346
O  0.0000  0.4326  0.2500
O  0.1550  0.0664  0.5466
O  0.1991  0.2106  0.1652

total energy after the MP2020 corrections	-175.90	eV/cell

Density functional theory data (PBE) for crystalline SrSiO3 at its relaxed geometry.

a = 3.6989 Å, b = 3.6989 Å, c = 3.6989 Å
α = 90.00°, β = 90.00°, γ = 90.00°
Space group Pm-3m (No. 221)
Asymmetric unit:
Sr  0.0000  0.0000  0.0000
Si  0.5000  0.5000  0.5000
O  0.0000  0.5000  0.5000

total energy after the MP2020 corrections	-37.55	eV/cell

Density functional theory data (PBE) for crystalline TlPt at its relaxed geometry.

a = 6.7580 Å, b = 6.7580 Å, c = 3.8517 Å
α = 90.00°, β = 90.00°, γ = 120.00°
Space group P6/mmm (No. 191)
Asymmetric unit:
Tl  0.0000  0.5000  0.0000
Pt  0.0000  0.0000  0.0000
Pt  0.3333  0.6667  0.5000

E_tot	-3.701	eV per atom

Density functional theory data (PBE) for crystalline ErPaTc2 at its relaxed geometry.

a = 6.8310 Å, b = 6.8310 Å, c = 6.8310 Å
α = 90.00°, β = 90.00°, γ = 90.00°
Space group Fm-3m (No. 225)
Asymmetric unit:
Er  0.0000  0.0000  0.0000
Pa  0.0000  0.0000  0.5000
Tc  0.2500  0.2500  0.2500

E_tot	-8.892	eV per atom

Density functional theory data (PBE) for crystalline Ce2Co3Ge5 at its relaxed geometry.

a = 9.8029 Å, b = 11.6652 Å, c = 5.8316 Å
α = 90.00°, β = 90.00°, γ = 90.00°
Space group Ibam (No. 72)
Asymmetric unit:
Ce  0.2386  0.1333  0.0000
Co  0.0000  0.5000  0.2500
Co  0.1142  0.1362  0.5000
Ge  0.0000  0.0000  0.2500
Ge  0.0000  0.2629  0.2500
Ge  0.1540  0.3997  0.0000

E_tot	-6.232	eV per atom

Density functional theory data (PBE) for crystalline Al3Bi5Br12 at its relaxed geometry.

a = 12.5845 Å, b = 12.5845 Å, c = 31.8692 Å
α = 90.00°, β = 90.00°, γ = 120.00°
Space group R-3c (No. 167, hexagonal axes)
Asymmetric unit:
Al  0.0000  0.4858  0.2500
Bi  0.0000  0.0000  0.1729
Bi  0.0000  0.1488  0.7500
Br  0.0105  0.4127  0.6909
Br  0.0442  0.2087  0.9063

total energy after the MP2020 corrections	-437.26	eV/cell

Density functional theory data (PBE) for crystalline SnCN2 at its relaxed geometry.

a = 3.9032 Å, b = 3.9032 Å, c = 15.2039 Å
α = 90.00°, β = 90.00°, γ = 120.00°
Space group R-3m (No. 166, hexagonal axes)
Asymmetric unit:
Sn  0.0000  0.0000  0.0000
C  0.0000  0.0000  0.5000
N  0.0000  0.0000  0.4183

total energy after the MP2020 corrections	-89.39	eV/cell


First-principles (PBE) data for a relaxed structure of MgTe4Mo3WSe2S2, as listed in Materials Project.

## Properties
Polymorph energy (0 for the lowest one) = 0.016 eV per atom
Total magnetization = 0.0 μB per formula unit
Energy = -6.136 eV per atom
Space group = Cm (8)
E (MP2020) = -6.21 eV per atom

Geometry as POSCAR:
```
MgTe4Mo3WSe2S2
1.0
3.396 0.000 0.000
-1.698 2.942 -0.001
-0.003 -0.016 45.620
Mo Te Se S Mg W
3 4 2 2 1 1
Direct
0.667 0.335 0.289 Mo
0.333 0.667 0.087 Mo
0.666 0.333 0.658 Mo
0.333 0.666 0.617 Te
0.666 0.333 0.046 Te
0.667 0.334 0.128 Te
0.333 0.667 0.699 Te
0.667 0.334 0.506 Se
0.666 0.333 0.433 Se
0.334 0.668 0.256 S
0.334 0.668 0.322 S
0.999 0.998 0.198 Mg
0.333 0.666 0.470 W
```


First-principles (PBE) data for a relaxed structure of MgTe4Mo3WSe2S2, as listed in Materials Project.

## Properties
Polymorph energy (0 for the lowest one) = 0.033 eV per atom
Total magnetization = 0.0 μB per formula unit
Energy = -6.119 eV per atom
Space group = P3m1 (156)
E (MP2020) = -6.20 eV per atom

Geometry as POSCAR:
```
MgTe4Mo3WSe2S2
- - -
_Written answer_
Density functional theory data (PBE) for crystalline SmTh4O10 at its relaxed geometry.

a = 8.8701 Å, b = 8.8701 Å, c = 5.6116 Å
α = 90.00°, β = 90.00°, γ = 90.00°
Space group I4/m (No. 87)
Asymmetric unit:
Sm  0.0000  0.0000  0.0000
Th  0.1008  0.2986  0.5000
O  0.0000  0.5000  0.2500
O  0.1004  0.7982  0.2524

total energy after the MP2020 corrections	-291.23	eV/cell

Density functional theory data (PBE) for crystalline ZnSe2O5 at its relaxed geometry.

a = 6.9198 Å, b = 10.6115 Å, c = 6.1840 Å
α = 90.00°, β = 90.00°, γ = 90.00°
Space group Pbcn (No. 60)
Asymmetric unit:
Zn  0.0000  0.0612  0.2500
Se  0.1355  0.3451  0.0346
O  0.0000  0.4326  0.2500
O  0.1550  0.0664  0.5466
O  0.1991  0.2106  0.1652

total energy after the MP2020 corrections	-175.90	eV/cell

Density functional theory data (PBE) for crystalline SrSiO3 at its relaxed geometry.

a = 3.6989 Å, b = 3.6989 Å, c = 3.6989 Å
α = 90.00°, β = 90.00°, γ = 90.00°
Space group Pm-3m (No. 221)
Asymmetric unit:
Sr  0.0000  0.0000  0.0000
Si  0.5000  0.5000  0.5000
O  0.0000  0.5000  0.5000

total energy after the MP2020 corrections	-37.55	eV/cell

Density functional theory data (PBE) for crystalline TlPt at its relaxed geometry.

a = 6.7580 Å, b = 6.7580 Å, c = 3.8517 Å
α = 90.00°, β = 90.00°, γ = 120.00°
Space group P6/mmm (No. 191)
Asymmetric unit:
Tl  0.0000  0.5000  0.0000
Pt  0.0000  0.0000  0.0000
Pt  0.3333  0.6667  0.5000

E_tot	-3.701	eV per atom

Density functional theory data (PBE) for crystalline ErPaTc2 at its relaxed geometry.

a = 6.8310 Å, b = 6.8310 Å, c = 6.8310 Å
α = 90.00°, β = 90.00°, γ = 90.00°
Space group Fm-3m (No. 225)
Asymmetric unit:
Er  0.0000  0.0000  0.0000
Pa  0.0000  0.0000  0.5000
Tc  0.2500  0.2500  0.2500

E_tot	-8.892	eV per atom

Density functional theory data (PBE) for crystalline Ce2Co3Ge5 at its relaxed geometry.

a = 9.8029 Å, b = 11.6652 Å, c = 5.8316 Å
α = 90.00°, β = 90.00°, γ = 90.00°
Space group Ibam (No. 72)
Asymmetric unit:
Ce  0.2386  0.1333  0.0000
Co  0.0000  0.5000  0.2500
Co  0.1142  0.1362  0.5000
Ge  0.0000  0.0000  0.2500
Ge  0.0000  0.2629  0.2500
Ge  0.1540  0.3997  0.0000

E_tot	-6.232	eV per atom

Density functional theory data (PBE) for crystalline Al3Bi5Br12 at its relaxed geometry.

a = 12.5845 Å, b = 12.5845 Å, c = 31.8692 Å
α = 90.00°, β = 90.00°, γ = 120.00°
Space group R-3c (No. 167, hexagonal axes)
Asymmetric unit:
Al  0.0000  0.4858  0.2500
Bi  0.0000  0.0000  0.1729
Bi  0.0000  0.1488  0.7500
Br  0.0105  0.4127  0.6909
Br  0.0442  0.2087  0.9063

total energy after the MP2020 corrections	-437.26	eV/cell

Density functional theory data (PBE) for crystalline SnCN2 at its relaxed geometry.

a = 3.9032 Å, b = 3.9032 Å, c = 15.2039 Å
α = 90.00°, β = 90.00°, γ = 120.00°
Space group R-3m (No. 166, hexagonal axes)
Asymmetric unit:
Sn  0.0000  0.0000  0.0000
C  0.0000  0.0000  0.5000
N  0.0000  0.0000  0.4183

total energy after the MP2020 corrections	-89.39	eV/cell


First-principles (PBE) data for a relaxed structure of MgTe4Mo3WSe2S2, as listed in Materials Project.

## Properties
Polymorph energy (0 for the lowest one) = 0.016 eV per atom
Total magnetization = 0.0 μB per formula unit
Energy = -6.136 eV per atom
Space group = Cm (8)
E (MP2020) = -6.21 eV per atom

Geometry as POSCAR:
```
MgTe4Mo3WSe2S2
1.0
3.396 0.000 0.000
-1.698 2.942 -0.001
-0.003 -0.016 45.620
Mo Te Se S Mg W
3 4 2 2 1 1
Direct
0.667 0.335 0.289 Mo
0.333 0.667 0.087 Mo
0.666 0.333 0.658 Mo
0.333 0.666 0.617 Te
0.666 0.333 0.046 Te
0.667 0.334 0.128 Te
0.333 0.667 0.699 Te
0.667 0.334 0.506 Se
0.666 0.333 0.433 Se
0.334 0.668 0.256 S
0.334 0.668 0.322 S
0.999 0.998 0.198 Mg
0.333 0.666 0.470 W
```


First-principles (PBE) data for a relaxed structure of MgTe4Mo3WSe2S2, as listed in Materials Project.

## Properties
Polymorph energy (0 for the lowest one) = 0.033 eV per atom
Total magnetization = 0.0 μB per formula unit
Energy = -6.119 eV per atom
Space group = P3m1 (156)
E (MP2020) = -6.20 eV per atom

Geometry as POSCAR:
```
MgTe4Mo3WSe2S2